Well, we’ve been very blessed once again. Mackenzie had her 2 month chest X-ray and I have great news to report! Her lung mets have stabalized – no changes – no increases in size and no new mets found either since her last check-up. Plus her blood work came back all normal. We are sooo happy. So now it’s been 5 months since her lung mets have been discovered and we’re celebrating big time!
We recently went to an oceanside place in San Simeon CA where we took the dogs and stayed at a pet friendly place right on the water. Mackenzie absolutely loved it and got to swim for the first time in the ocean since her amputation. She did so great and I couldn’t get over how energetic she was – so stimulated by the ocean. It was incredible. So here is a special video I made of my Ocean Girl enjoying her favorite place! (and a couple of pictures too.)
10 responses to “Mackenzie’s great check-up + Special Video of the Ocean Girl”
Oh! That was so beautiful and full of joy it made me cry. What a way to celebrate such happy news. Thank you, Kami, for sharing your Ocean Girl.
Simply beautiful.
I loved that video! What incredible joy! You can feel how happy she is – just rollicking in the waves! And what a fitting tribute to such great news. Keep on fighting Mackenzie – we’re all right here behind you!!
Big, big hugs from your friends,
Holly, Zuzu and Susan
What an amazing video, we smiled and giggled all the way through. A beautiful dog, a wonderful beach and a sunny day!
Thanks for sharing!
From your friend, Shelby the P.P.
Harumph! I want to play in ocean waves. I never saw the ocean. Hmmmmm, I don’t even remember ever seeing water that wasn’t stiff enough to walk on. AArrrrrgggghhhhh! I live in a freezer. Will it ever be warm?
Oh that video was pawesome!!!!! Go Mackenzie! 🙂 Congrats on the good news girl! What a great way to celebrate!
### Data records, kept here for reference
********
DFT (the ωB97M-V functional and the def2-TZVPD basis) results for a structure of composition C24H60F2HfNO20S3 at a distorted geometry.

Structure (ORCA input):
```
! RIJCOSX wB97M-V def2-TZVPD def2/J DEFGRID3
* xyz 1 1
Hf -0.94926 -0.06479 0.63172
S 0.09074 -1.81685 -1.12145
O 0.33334 -1.93948 0.30807
O 0.65226 -2.79911 -2.00437
O -1.33802 -1.65867 -0.97920
O 0.38774 -0.37569 -1.25568
N -2.92496 0.50596 1.49820
S -4.44759 0.66066 0.98329
O -4.85463 1.97832 0.51741
O -5.44700 -0.36176 1.36310
F -4.15703 -0.08092 -0.43863
S -3.55726 0.96740 3.04934
O -4.18819 -0.02947 3.91237
O -3.92361 2.32149 3.28429
F -2.10125 0.92938 3.73826
C -4.33018 -1.94763 -4.13544
O -3.07779 -1.37524 -4.54866
C -2.12227 -2.44845 -4.72505
C -0.69216 -1.96111 -4.88849
O -0.60327 -1.22847 -6.02777
C 0.68608 -0.90139 -6.48714
H -5.03683 -1.12400 -4.03346
H -4.18985 -2.35210 -3.13303
H -4.72545 -2.67623 -4.84325
H -2.42362 -2.89764 -5.67136
H -2.22484 -3.10950 -3.86447
H 0.06088 -2.74887 -4.91030
H -0.56493 -1.30967 -4.02388
H 1.29794 -1.74325 -6.81116
H 1.38624 -0.55314 -5.72780
H 0.58297 -0.13221 -7.25254
C 3.60168 3.26095 3.40306
O 2.58449 2.83913 2.53787
C 3.00314 2.69052 1.21131
C 1.95288 1.92944 0.38032
O 1.39373 0.74605 0.94326
C 2.47685 -0.13257 1.33402
H 4.41026 2.53001 3.40749
H 3.21367 3.43000 4.40754
H 3.93016 4.26296 3.12709
H 3.89508 2.07507 1.09396
H 3.29516 3.59176 0.67223
H 2.26705 1.62441 -0.61785
H 1.21856 2.67778 0.08224
H 3.17448 -0.33073 0.52031
H 2.04469 -1.09062 1.62297
H 2.98521 0.26561 2.21217
C 3.42716 -3.27674 4.51800
O 2.54312 -3.50290 3.45908
C 2.81856 -4.77540 2.83944
C 1.85343 -4.95110 1.65197
O 0.46771 -5.06751 2.09702
C -0.39227 -5.53202 1.06640
H 3.43913 -4.05746 5.27854
H 3.23378 -2.33407 5.02992
H 4.42891 -3.13707 4.11167
H 2.75289 -5.65031 3.48621
H 3.83540 -4.77393 2.44680
H 2.14092 -5.80115 1.03320
H 1.96068 -4.08302 1.00154
H 0.01096 -6.42509 0.58899
H -0.56096 -4.89209 0.20030
H -1.39076 -5.70583 1.46756
C 0.65833 -0.05836 3.84234
O -0.22222 -0.60727 2.82783
C -0.46416 -1.96121 3.26307
C -1.84464 -2.45621 2.88994
O -2.09069 -2.11685 1.50670
C -3.22566 -2.89456 1.06255
H 1.03269 0.92595 3.56115
H 1.59019 -0.59001 4.03492
H 0.09107 -0.01449 4.77207
H -0.34959 -2.12550 4.33451
H 0.26349 -2.61850 2.78705
H -2.64441 -2.18422 3.57878
H -1.77320 -3.54254 2.94347
H -4.12348 -2.63321 1.62266
H -2.94430 -3.94736 1.08585
H -3.43712 -2.68678 0.01364
C 1.45921 5.99378 -0.29711
O 1.42318 4.87197 -1.15041
C 2.29799 4.99308 -2.26991
C 1.96438 4.00727 -3.34782
O 2.02855 2.69574 -2.80063
C 1.80279 1.59103 -3.64134
H 0.77622 6.74676 -0.69032
H 2.47877 6.34023 -0.12806
H 1.05217 5.64933 0.65357
H 3.29336 4.95757 -1.82711
H 2.17678 5.97498 -2.72742
H 2.67605 4.11808 -4.16596
H 1.00189 4.21533 -3.81520
H 2.48759 1.65147 -4.48722
H 0.80846 1.58107 -4.08778
H 1.82376 0.65754 -3.07899
C -0.83343 3.00820 2.33221
O -0.86231 2.23369 1.09538
C -1.41027 3.15970 0.09053
C -1.42383 2.60139 -1.26289
O -1.80349 1.24167 -1.14991
C -2.20391 0.69399 -2.49082
********
Tracy & Maggie
Quantum chemistry results, kept here for reference:
____________
# 1
Density functional theory data (wB97M-V/def2-TZVPD) for a gas-phase ion, C3H8NS3 (charge +1) at a distorted geometry.

As for the spin multiplicity: 1. The HOMO-LUMO gap comes out at 9.53 eV. As for the SMILES: S[N+]1(S)CCSC1. As for the charge: +1. For the energy above the lowest of the compared OMol25 structures with the same formula, charge and spin, the calculation gives 277.8 kJ/mol. The HOMO energy is -13.87 eV. The value obtained for the molar mass is 154.3 u.

Element x y z (Å)
N -0.8144 -0.1327 -0.1211
S 1.6613 -0.9819 -0.5640
H 2.0279 0.1568 1.4235
S -1.2949 -1.6297 0.6825
C 0.2316 -0.4374 -1.4627
H -0.2925 1.6915 0.4272
S -2.2202 0.8412 -0.5826
H 0.1094 -2.0762 0.7738
H 2.0972 1.2869 0.1543
H -0.3085 -1.1337 -2.0289
H -3.0166 0.3271 0.3308
C 0.0591 0.7385 0.8144
H 0.5187 0.5023 -2.1019
C 1.4879 0.4732 0.5021
H -0.2461 0.3741 1.7525

Cartesian forces, eV/Å:
N 1.596 0.329 -1.490
S -0.200 0.075 -0.486
H -0.391 0.222 -0.417
S 1.711 -0.917 -0.188
C 0.226 2.167 1.166
H 0.539 0.539 1.280
S -0.025 -0.194 -1.040
H -2.081 0.667 -0.187
H -0.269 0.593 -0.551
H -0.523 -1.159 -0.774
H -0.477 -0.226 0.553
C -0.844 -0.213 -2.577
H -1.200 -1.300 1.625
C 2.231 -1.166 1.615
H -0.294 0.584 1.472

=====

# 2
Density functional theory data (wB97M-V/def2-TZVPD) for a molecular structure, C24H20BrCl5IrN4O2S.

As for the spin multiplicity: 2. The HOMO-LUMO gap (alpha / beta) comes out at 7.06 / 4.93 eV. As for the charge: +2. For the energy above the lowest of the compared OMol25 structures with the same formula, charge and spin, the calculation gives 0.0 kJ/mol. The HOMO energy (alpha / beta) is -13.72 / -13.69 eV. The value obtained for the molar mass is 877.9 u.

Element x y z (Å)
C 0.2622 -4.3530 6.8384
C 2.7038 1.0542 -0.6682
C 1.4769 3.4390 0.1962
H 0.3833 -0.8285 5.2618
Cl -0.8311 2.0072 0.7242
C -0.4677 -2.8149 5.1252
H -3.1837 -2.1472 2.0584
H -2.3513 -1.7064 -2.1155
C 2.7920 3.4620 -0.2671
H -3.7495 -1.4307 -0.1806
C 1.3368 -2.6397 -1.8305
H -2.4159 -0.8726 -5.2529
H 3.3674 -4.0557 -0.4107
C 1.1184 -3.3816 7.3399
Cl 0.6540 4.8347 0.7299
C -1.3216 -2.6070 3.9686
N -2.8930 -0.8882 -0.2331
C 0.3803 -1.8357 5.6552
Br 0.4124 -0.7797 2.5844
Cl 5.0069 2.3280 -1.2702
Cl 3.5258 -0.3610 -1.2121
H 1.8394 -4.9736 -0.3859
C -4.4579 2.2583 -2.5890
C -3.0993 0.2804 -2.3848
C 0.8585 2.2091 0.1956
C -1.1884 -1.8453 2.8746
H 1.2474 -2.0923 -3.7833
O -0.9758 -0.3664 -1.5388
N -1.9512 -1.1975 0.7102
H -3.8519 1.4038 -0.7218
H 1.7348 -3.5990 8.2017
H 1.8004 -1.3538 7.1777
C -3.0357 0.1843 -3.7758
H -5.0146 3.0642 -2.1329
H -1.2225 -4.8163 5.3698
S 0.9366 -2.3491 -0.1640
C -2.1947 -1.7549 1.8330
H -4.9220 2.8553 -4.5969
C -3.6988 1.1076 -4.5694
Ir -0.1458 -0.3126 0.1627
H 3.1194 -5.4200 -1.5157
N 0.9494 -1.8845 -2.8430
H 2.3484 -3.9010 -3.0078
H -3.6558 1.0238 -5.6489
C 2.6351 -4.5852 -1.0190
H 0.2093 -5.3262 7.3061
C -2.3574 -0.7454 -1.5845
H 0.3319 -1.0969 -2.6980
H -2.2305 -3.2060 3.9599
C 1.1642 -2.1207 6.7582
O -2.2927 -0.8367 -4.2970
C 1.3932 1.0020 -0.2064
____________
Such pure, real happiness…so evident in your video. I love videos of Mackenzie (Lincoln too) because they are the quintessential SCHWIMMERS! So funny how much goldens love to schwimm. I can’t help, but smile when I watch this video. Mackenzie is the bomb!
Spirit Opie’s mom
that was great!!! what a joyous girl – she is definitely squeezing every bit of wonder and happiness from ever moment!! mackenzie, you rock!!!
Someone pasted calculated molecules at this point:
/*
A cluster of 3 separate species, C5H12O2 in total at a distorted geometry. Source: the Open Molecules 2025 dataset; level of theory: wB97M-V/def2-TZVPD.

```
19
Properties=species:S:1:pos:R:3
C 0.0148 -0.8233 1.5527
C 1.0375 -1.4921 1.0001
C -1.1412 -0.3063 0.7847
C -0.8039 0.5990 -0.3487
C -1.7242 1.2904 -1.0841
H -0.0461 -0.6548 2.6224
H 1.8828 -1.8476 1.5581
H 1.0791 -1.6737 -0.0652
H -1.5797 -1.1916 0.2732
H -1.8177 0.1736 1.4985
H 0.2291 0.6138 -0.6390
H -1.4153 1.9968 -1.8354
H -2.7814 1.1231 -0.9677
H 0.0742 -1.4767 -2.3705
H 1.5508 -1.8330 -2.1496
O 0.9626 -1.2929 -2.6834
H 1.5266 2.3967 1.7253
H 1.4187 2.5238 0.2123
O 1.5332 1.8747 0.9162
```

## Properties
* LUMO (alpha / beta): -4.09 / -8.84 eV
* energy above the lowest of the compared OMol25 structures with the same formula, charge and spin: 1.330 eV
* multiplicity: 2
* charge: +1
* energy: -9463.70998 eV


12
Properties=species:S:1:pos:R:3:forces:R:3 method="wB97M-V/def2-TZVPD" gap_ha=0.4063 charge=0 e_lumo_ev=1.0
O -1.009532 -0.203937 1.910439 -0.2 -0.3 -0.2
C -1.178832 -0.954240 0.978287 0.1 0.2 0.4
C -0.525283 -0.729507 -0.356499 0.1 0.0 0.1
C 0.014398 0.674852 -0.449785 0.0 0.1 0.4
C 1.418817 0.965216 -0.192097 0.1 0.0 0.3
O 0.911811 0.893302 -1.520984 0.1 0.0 -0.2
H -1.831841 -1.844564 1.084240 0.1 0.0 0.0
H -1.216139 -1.005874 -1.165181 0.1 0.3 0.1
H 0.313663 -1.431916 -0.457486 -0.1 0.0 0.1
H -0.620437 1.497845 -0.127622 -0.4 -0.2 -0.6
H 1.685160 1.980693 0.099239 0.0 -0.3 0.1
H 2.038215 0.158129 0.197449 0.2 0.1 -0.4

12
Properties=species:S:1:pos:R:3:forces:R:3 method="wB97M-V/def2-TZVPD" gap_ha=0.3615 charge=0 e_lumo_ev=0.7
O -0.561967 -2.149867 0.886054 0.0 -0.4 0.0
C -1.400550 -1.136735 0.478945 -0.1 0.2 -0.1
C -0.966548 -0.273151 -0.403518 0.3 -0.3 0.1
C -0.009622 0.347840 -1.046865 -0.1 0.0 0.1
C 0.953511 1.253480 -0.311142 0.1 0.1 -0.3
O 0.615692 1.497421 1.026201 0.0 -0.2 0.2
H 0.172331 -2.162511 0.254107 -0.1 -0.1 0.3
H -2.373090 -1.192042 0.953116 0.1 0.1 -0.1
H 0.187873 0.149862 -2.099931 -0.1 0.2 0.0
H 1.950748 0.784337 -0.390499 -0.1 0.1 0.0
H 1.017075 2.230494 -0.797868 0.0 -0.1 0.0
H 0.414547 0.650872 1.451399 0.0 0.2 -0.1

12
Properties=species:S:1:pos:R:3:forces:R:3 method="wB97M-V/def2-TZVPD" gap_ha="0.2900 / 0.2900" charge=0 e_lumo_ev="0.0 / 0.0"
O -2.531249 -0.070932 0.528248 0.4 -0.3 -0.2
C -1.185435 0.097822 0.469592 0.5 0.2 -0.1
C 1.389778 -0.423247 0.426857 -0.5 -0.1 0.0
C 1.165526 0.687142 -0.394517 -0.1 0.0 -0.1
C -0.410241 -0.114010 -0.665793 0.0 -0.2 0.1
O -0.552658 -0.736013 -1.706496 0.1 0.3 0.4
H -2.811238 -0.746358 -0.110971 0.2 0.2 0.0
H -0.780003 0.674375 1.287686 -0.2 0.0 0.0
H 1.347787 -0.347380 1.509477 0.1 0.0 -0.2
H 1.684430 -1.378692 -0.000340 -0.2 0.2 0.1
H 1.554249 0.681524 -1.410550 -0.2 0.0 0.2
H 1.129054 1.675769 0.066807 -0.2 -0.3 -0.2

12
Properties=species:S:1:pos:R:3:forces:R:3 method="wB97M-V/def2-TZVPD" gap_ha=0.3900 charge=0 e_lumo_ev=1.0
C -1.391012 -0.346474 -0.310881 -0.2 0.0 -0.1
*/
charon & gayle
That was just beautiful Kami. Your videos always make me feel so happy. I love Mackenzie (Kobe too) and can’t express enough how thrilled I’m for her super duper check-up! Keep it up sweet girl.
Hope you guys had a wonderful Thanksgiving.
Fortis’Dad and family
Miss Mack, you are simply inspawrational! And let’s not forget Kobe, either. He is just plain old fun! I love how he is still afraid of even the waves going to shore. Congratulations, Pretty Pants on your great medical report.
Oh Mackenzie…you look so fantastic and healthy!! It cracks me up that while you are running and frolicking in the ocean, Kobe is running away. You are amazing!!
Fantastic video too!!